Adler Law Group, LLC Attorneys at Law

Feb 29, 2024

When you’ve sustained an injury due to someone else’s negligence in East Hartford, CT, what you do immediately afterward is key. Whether your injury was caused by a faulty product, a careless driver, a sidewalk defect, or a medical professional, follow our five steps, from preserving evidence to hiring a personal injury lawyer, to help you achieve a favorable outcome in your personal injury claim.

1. Preserve Evidence

Collecting and preserving evidence is vital after sustaining an injury in East Hartford. Each incident is different, so the kind of evidence required will vary. It could be as simple as bagging the shoes you were wearing when you slipped and fell or downloading your dashboard cam footage from immediately before a car accident. Think about things like:

  • Accident reports
  • Photographs of the scene from different angles
  • CCTV footage
  • Contact details and statements from any witnesses
  • Photographs of your injuries and any property damage

2. Seek Medical Attention

Even if you don’t consider your injuries to be serious, always seek medical attention. A medical professional will ensure you receive the proper treatment for the obvious injuries and also the delayed symptoms or unseen issues that may have been suppressed by adrenaline.

Getting immediate medical treatment will also provide documented evidence of your injuries that could help your legal claim. Any delay or failure to report the incident could give the opposing party reason to claim the damage may have occurred after the event and wasn’t a result of their actions.

3. Gather Proof of Financial Losses

Gather and keep hold of medical bills, payslips, and any other documentation that shows evidence of the financial losses you’ve incurred.

4. Hire a Personal Injury Lawyer

Connecticut’s personal injury laws are complex and often confusing. Hiring an East Hartford law firm can help you navigate the legal process and will also maximize your chances of success. They will use their extensive knowledge and experience of local, state, and federal laws to investigate the incident, gather evidence, and deal with paperwork. By representing your best interests, they’ll handle all negotiations to achieve a favorable outcome and secure the highest possible final settlement.

• Here the article breaks off for data records:
Version 1
LiVFeP4O14 after structural relaxation, computed with GGA+U.

Lattice parameters (Å, degrees): 7.269 8.170 9.626 89.70 69.18 90.69
Positions (direct):
O (0.027, 0.667, 0.594)
P (0.047, 0.691, 0.430)
P (0.833, 0.287, 0.066)
O (0.679, 0.560, 0.830)
P (0.661, 0.782, 0.429)
O (0.108, 0.865, 0.379)
O (0.179, 0.560, 0.330)
O (0.527, 0.667, 0.094)
O (0.523, 0.679, 0.373)
O (0.334, 0.651, 0.922)
V (0.473, 0.513, 0.251)
P (0.956, 0.188, 0.554)
O (0.056, 0.824, 0.091)
Li (0.084, 0.372, 0.239)
O (0.319, 0.052, 0.138)
P (0.456, 0.188, 0.054)
O (0.498, 0.195, 0.887)
O (0.754, 0.929, 0.330)
O (0.421, 0.347, 0.403)
O (0.885, 0.357, 0.626)
O (0.608, 0.865, 0.879)
P (0.161, 0.782, 0.929)
O (0.744, 0.432, 0.170)
O (0.984, 0.202, 0.115)
O (0.998, 0.195, 0.387)
V (0.973, 0.513, 0.751)
O (0.834, 0.651, 0.422)
O (0.385, 0.357, 0.126)
O (0.164, 0.155, 0.578)
O (0.023, 0.679, 0.873)
O (0.254, 0.929, 0.830)
O (0.819, 0.052, 0.638)
O (0.664, 0.155, 0.078)
Li (0.584, 0.372, 0.739)
P (0.333, 0.287, 0.566)
O (0.244, 0.432, 0.670)
O (0.556, 0.824, 0.591)
O (0.484, 0.202, 0.615)
Fe (0.533, 0.003, 0.735)
Fe (0.033, 0.003, 0.235)
P (0.547, 0.691, 0.930)
O (0.921, 0.347, 0.903)

---

Version 2
LiVFeP4O14 after structural relaxation, computed with GGA+U.

Lattice parameters (Å, degrees): 4.951 7.047 8.041 89.93 88.82 73.82
Positions (direct):
Li (0.000, 0.000, 0.000)
V (0.937, 0.345, 0.353)
Fe (0.526, 0.788, 0.839)
P (0.107, 0.568, 0.035)
P (0.331, 0.574, 0.533)
P (0.497, 0.182, 0.117)
P (0.971, 0.961, 0.612)
O (0.115, 0.454, 0.528)
O (0.142, 0.983, 0.764)
O (0.167, 0.799, 0.486)
O (0.262, 0.728, 0.029)
O (0.308, 0.173, 0.266)
O (0.331, 0.357, 0.995)
O (0.445, 0.577, 0.706)
O (0.558, 0.510, 0.396)
O (0.577, 0.998, 0.006)
O (0.708, 0.901, 0.657)
O (0.781, 0.220, 0.161)
O (0.876, 0.596, 0.910)
O (0.897, 0.147, 0.502)
O (0.993, 0.549, 0.213)

Computed properties:
Space-group type = P1

---

Tell me which of them is the most stable. Sure, it is version 1.

---

Version 1
LiVFeP4O14 after structural relaxation, computed with GGA+U.

Lattice parameters (Å, degrees): 4.902 6.948 8.174 90.01 90.75 105.94
Positions (direct):
Li (0.000, 0.000, 0.000)
V (0.459, 0.530, 0.909)
Fe (0.884, 0.990, 0.413)
P (0.052, 0.762, 0.721)
P (0.287, 0.756, 0.224)
P (0.440, 0.153, 0.644)
P (0.920, 0.365, 0.143)
O (0.089, 0.893, 0.216)
O (0.100, 0.531, 0.266)
O (0.115, 0.329, 0.004)
O (0.230, 0.613, 0.750)
O (0.250, 0.168, 0.499)
O (0.250, 0.984, 0.772)
O (0.406, 0.745, 0.051)
O (0.513, 0.803, 0.355)
O (0.524, 0.342, 0.751)
O (0.678, 0.444, 0.073)
O (0.700, 0.087, 0.603)
O (0.806, 0.176, 0.239)
O (0.817, 0.739, 0.849)
O (0.958, 0.762, 0.545)

Computed properties:
Space-group type = P1

---

Version 2
LiVFeP4O14 after structural relaxation, computed with GGA+U.

Lattice parameters (Å, degrees): 7.161 8.091 13.705 89.82 82.76 89.94
Positions (direct):
Li (0.000, 0.000, 0.000)
Li (0.014, 0.497, 0.332)
Li (0.334, 0.000, 0.666)
V (0.292, 0.630, 0.662)
V (0.617, 0.643, 0.329)
V (0.956, 0.631, 0.994)
• End of the data records:

5. Stay Off Social Media

After being injured, it’s natural to want to reassure family and friends you’re OK. Social media is a great way to reach people fast. However, posting a statement or responding to messages on an online platform could have a detrimental effect on your legal case. Sharing about how you feel, the details of your injuries, or the speed of your recovery could be seen by the other party, giving them ammunition to dispute your claims and challenge the severity of the incident.

If another person’s negligence or actions have resulted in an injury to you or someone you know, there could be a personal injury case to answer. Contact the Adler Law Group, LLC Attorneys at Law in East Hartford today, and let us help you get the compensation you deserve.